"Would Divine Recognition Make Us Different?"

Sermon Preached By Rev. Richard E. Stetler - January 13, 2002

Isaiah 42:1-9; Matthew 3:13-17

     The circumstances surrounding the baptism of Jesus have always been fascinating. That experience represented the beginning of a major identity crisis for Jesus. Regardless of the supernatural drama that the Gospel writers have attributed to this event, for Jesus his baptismal experience brought confusion, inner struggles, and conflicting thoughts that no doubt produced bewilderment.  Think of what such an experience would do to you.   

     The writer of Matthew described what happened in this manner, "As soon as Jesus was baptized, he came up out of the water.  Then heaven was opened to him, and he saw the Spirit of God coming down like a dove and lighting on him.  Then a voice from heaven said, 'This is my beloved Son, with whom I am very pleased.'" This sounds as though God was making a public announcement to a number of assembled witnesses. 

     Jesus baptism is recorded with identical language in Matthew, Mark and Luke.  However, in Luke there is a slight variation. His Gospel suggests that other people were present.  The question comes; did anyone else experience heaven opening up, a dove descending, or hear the voice announcing Jesus' identity?  Probably not.  Most likely this experience occurred only within Jesus. Why do I say that?   

     First, John the Baptist made no change in his own ministry.  Had he seen and heard what the Gospel writer described, no doubt John would have become Jesus' first disciple.  That did not happen.  In fact, his ministry remained separate from that of Jesus until Herod beheaded John.  

     And secondly, we recall the time that several of John's disciples approached Jesus and said, "John wants to know, are you the one who is to come or should we look for another?" John appears not to be aware of his cousin's identity.  Jesus responded by telling them to go back and tell John what they see, the blind receive their sight and the lame are able to walk.   

     How would you respond if you experienced something very similar to what Jesus encountered?  Suppose God communicated directly to you, "You are my son.  You are my daughter. I am very pleased with you." After such an intense mystical experience, what would you do differently? What assumptions might you make about God's future relationship with you?  Would you be happy with the implications of receiving such divine approval?

     This morning we are going to put Jesus under the microscope and see how he navigated in these very strange waters. We will sense his struggles. Perhaps we will understand how comparatively easy it is for us to follow Jesus now that he has shown us the way.  Jesus and his followers provided the spiritual infrastructure of what a life looks like when it mirrors the same loving energy as our Creator.  Jesus had no one to follow.

### Data records, as found in the file
## PbBr2O (PBE)

Data for a relaxed structure of PbBr2O. Values from VASP.

Cell and atoms, written as Quantum ESPRESSO input:
```
&SYSTEM
  ibrav = 0, nat = 4, ntyp = 3
/
ATOMIC_SPECIES
O 16.00 O.upf
Pb 207.20 Pb.upf
Br 79.90 Br.upf
ATOMIC_POSITIONS crystal
O 0.000 0.000 0.000
Pb 0.500 0.500 0.500
Br 0.750 0.750 0.750
Br 0.250 0.250 0.250
CELL_PARAMETERS angstrom
4.857 -1.839 -0.084
0.856 -5.098 0.508
1.657 -2.774 -4.068
```

Properties
E_form (uncorrected) ... 46 meV per atom
Crystal system ... cubic
Calculated volume ... 24.8 A^3/atom
M_tot ... 2.00 μB/f.u.
DOS at the Fermi energy ... 1.2633 states/eV per atom
Calculated total energy ... -2.9576 eV/atom

***

## PbBr2O (PBE)

Data for a relaxed structure of PbBr2O. Values from VASP.

Cell and atoms, written as Quantum ESPRESSO input:
```
&SYSTEM
  ibrav = 0, nat = 4, ntyp = 3
/
ATOMIC_SPECIES
O 16.00 O.upf
Pb 207.20 Pb.upf
Br 79.90 Br.upf
ATOMIC_POSITIONS crystal
O 0.500 0.500 0.500
Pb 0.000 0.000 0.000
Br 0.892 0.892 0.892
Br 0.108 0.108 0.108
CELL_PARAMETERS angstrom
2.156 0.000 8.938
-1.078 1.867 8.938
-1.078 -1.867 8.938
```

Properties
E_form (uncorrected) ... 490 meV per atom
Crystal system ... trigonal
Calculated volume ... 27.0 A^3/atom
M_tot ... 2.80 μB/f.u.
DOS at the Fermi energy ... 0.2430 states/eV per atom
Calculated total energy ... -2.5129 eV/atom

***

## PbBrO2 (PBE)

Data for a relaxed structure of PbBrO2. Values from VASP.

Cell and atoms, written as Quantum ESPRESSO input:
```
&SYSTEM
  ibrav = 0, nat = 4, ntyp = 3
/
ATOMIC_SPECIES
Pb 207.20 Pb.upf
O 16.00 O.upf
Br 79.90 Br.upf
ATOMIC_POSITIONS crystal
Pb 0.500 0.500 0.500
O 0.250 0.250 0.250
Br 0.000 0.000 0.000
O 0.750 0.750 0.750
CELL_PARAMETERS angstrom
2.266 -2.042 3.415
-0.445 1.543 4.288
-2.281 -2.480 3.100
```

Properties
E_form (uncorrected) ... 260 meV per atom
Crystal system ... cubic
Calculated volume ... 17.0 A^3/atom
M_tot ... 3.00 μB/f.u.
DOS at the Fermi energy ... 0.3646 states/eV per atom
Calculated total energy ... -3.5642 eV/atom

***

Q: Among the records above, which one has the highest M_tot?

     To begin with we need to understand that so far as the Gospels are concerned, there is no record of any further communication from God to Jesus. Jesus was left alone to figure out the meaning and purpose of God's words.   Jesus learned very quickly that life would not be easy.   And there would be no favors granted by God.  

     There are lots of Gospel references of Jesus going off into the hills to pray.  If God answered, the Scriptures make no mention of it. Even in the Garden following his betrayal, as Jesus reached out to God in great anguish, heaven remained silent. There was no special treatment and no awareness or evidence that Jesus had accomplished anything significant with his life. From the cross he could have said, "Why?  What purpose has my life served?"  Instead he said, "Father, forgive them, they no not what they do."   

     Think what it would mean to know you are God's son or daughter without a blueprint, without definitive expectations, or some kind of road map. Maybe that was a blessing for Jesus because without knowing anything, he could be exactly who he was while allowing his ultimate destiny to remain with God.  Figuring out what to do with who he was became Jesus' greatest challenge.

     I remember when I was a little boy, the people who scolded me for misbehaving would frequently remind me, "You ought to know better, Dick.  Your father is a minister."   The identity of being a preacher's son was very difficult to carry.  People expected more from us than they would from others. There was another side to the experience as well.  If I were ever caught doing something really inappropriate, it might reflect on Mom and Dad's ability to be good parents.  All four of us grew up knowing what it was like to live in a fishbowl.

     Perhaps more than some people, I empathized with the pressure that was brought by the media when President and Laura Bush's twin daughters were caught attempting to buy alcohol by using false identification.  

     It would be wonderful if all of us could grow up without having to test our limits or experiment with social taboos.  Few of us can do that. Wisdom comes to those of us who learn through our experiences.  The Gospels, to their credit, never attempted to hide the fact that Jesus was no different. Perhaps we can be less condemning of ourselves when we watch the growth patterns that Jesus experienced.

     Coming back to our theme, did Jesus struggle and experience limitations?  I will probably find myself standing with a minority of preachers willing to say this, but you bet he did.   The Scriptures attest to his struggles in the wilderness.  Do we think that he won his Mother's approval when he abruptly walked away from his carpenter's shop and wandered in the wilderness for 40 days? Was she applauding as she watched her eldest son walk from place to place without a consistent place to sleep at night? 

     As we review his ministry, was Jesus really happy with himself when he upset the tables of the moneychangers and even drove them out of the temple courtyard with a whip?  Is this the way the Son of God should act?  Is this the kind of behavior he wanted to model for his disciples?  It appears as though Jesus was communicating that when people do not show proper reverence for God, it is fine to use brute force to correct their behavior.  Much later in Jesus' ministry he displayed a very different spirit, but it took time for him to get there.

     During the early phases of Jesus' ministry his communication skills were not as polished as they might have been.  He once approached the Teachers of the Law and the Pharisees with these words, "You snakes and children of snakes."  (Matthew 23:33)  Once when his disciples failed to cure a boy of epilepsy, he said to everyone,  "How unbelieving you are!  How long must I stay with you?  How long do I have to put up with you?" (Mark 9:19).

     Jesus had no picture of what being the Son of God should look like.  And perhaps the most frustrating aspect of his entire ministry was that he would not live long enough to see the results of anything he did.  His friends ran away. The people he had healed and ministered to were nowhere to be found.  According to earth's standards, everything Jesus stood for appeared to collapse at the end of his life. 

     During challenging moments in our lives, how many times have we found ourselves saying, "Why should I even try?  It doesn't do any good. Why should I go on kidding myself?  It's like trying to communicate with a rock."

     How many times have we brought our best to our jobs and we remained "invisible"?  There is no appreciation.  There is no congratulations.  We may even be passed over for promotions.  We did a hundred things extremely well and were written up for one mistake, which overshadowed everything else.

     Without strong connections to the One who is painting the portrait, such experiences can easily erode our confidence levels. When we doubt our self-worth, we must hasten to remember that Jesus could have gone there too, any number of times, but he did not.  

     From our perspective Jesus' entire life looks very impressive.  As we read the Gospels the story line reads well. We receive many incredible insights for living from what Jesus taught.  But go back in time and walk in Jesus' sandals for a week or two. We would quickly learn that being the Son of God did not produce the quality of life that most of us seek.

     Think what it would mean to be the only one who sees what you see and the only one who knows what you know.  Think of how alone Jesus must have been.  Think what it was like to point to a garden Jesus called "God's Kingdom" when few people knew what he was talking about. Think what it was like to trust God to determine the outcome.  Jesus had learned something very fundamental -- he accepted what came his way without creating thoughts that would not serve him.

     One of the ways our faith may be deepened is when we learn to deal creatively with events that do not work out as we had hoped.   We think, "I had hoped that my marriage would work out and it did not."  Or, "I once envisioned the joy of watching our son or daughter grow up, but there was the automobile accident, the drug overdose, or a military mishap."   Or, "We had our retirement plans in place. There were so many things we were going to do.  We never thought that a stroke, that breast cancer, or that a fatal heart attack would happen to one of us but it did." 

     Jesus lived with reversals almost daily yet remained connected to God.  That was the bedrock on which he always stood.  In other words, being in harmony with God did not connect Jesus to the earthly rewards and "blessings" that so many people around him appeared to receive. 

(Inserted here: materials data)
-- begin --
## La6Pm12Y (GGA-PBE)

Data for La6Pm12Y after structural relaxation.

Unit cell a=8.774 b=8.774 c=8.774 alpha=89.72 beta=89.72 gamma=89.72
Element x y z (fractional)
La 0.198 0.594 0.766
La 0.234 0.802 0.406
La 0.406 0.234 0.802
La 0.594 0.766 0.198
La 0.766 0.198 0.594
La 0.802 0.406 0.234
Pm 0.033 0.280 0.937
Pm 0.063 0.967 0.720
Pm 0.138 0.313 0.479
Pm 0.280 0.937 0.033
Pm 0.313 0.479 0.138
Pm 0.479 0.138 0.313
Pm 0.521 0.862 0.687
Pm 0.687 0.521 0.862
Pm 0.720 0.063 0.967
Pm 0.862 0.687 0.521
Pm 0.937 0.033 0.280
Pm 0.967 0.720 0.063
Y 0.500 0.500 0.500

Results
- mass density (Mg/m³) = 6.5
- space group = R-3
- ΔH_f (0 K) (eV per atom) = 0.122
- relative energy among the computed polymorphs (meV/atom) = 0


The following is a PBE calculation of BeCu after structural relaxation, from Alexandria.

Values from the calculation:
magnetization: 0.00 μB per formula unit
total DFT energy (no corrections): -94.869 eV for the cell shown
formation energy from the elements: -0.042 eV/atom

Unit cell a=7.6562 b=6.7265 c=4.6363 alpha=90.00 beta=90.00 gamma=90.00
Space group Pbcm (No. 57)
Symmetry-distinct sites (fractional):
Be: 0.0814 0.0486 0.2500 (multiplicity 4)
Be: 0.3634 0.6163 0.2500 (multiplicity 4)
Be: 0.4154 0.2500 0.0000 (multiplicity 4)
Cu: 0.1238 0.7500 0.0000 (multiplicity 4)
Cu: 0.1673 0.1321 0.7500 (multiplicity 4)
Cu: 0.3726 0.5396 0.7500 (multiplicity 4)

The following is a PBE calculation of Be7Cu after structural relaxation, from Alexandria.

Values from the calculation:
magnetization: 0.00 μB per formula unit
total DFT energy (no corrections): -120.748 eV for the cell shown
formation energy from the elements: -0.001 eV/atom

Unit cell a=6.4675 b=6.4675 c=6.4675 alpha=90.00 beta=90.00 gamma=90.00
Space group Fm-3m (No. 225)
Symmetry-distinct sites (fractional):
Be: 0.0000 0.0000 0.0000 (multiplicity 4)
Be: 0.0000 0.2500 0.2500 (multiplicity 24)
Cu: 0.0000 0.0000 0.5000 (multiplicity 4)

The following is a PBE calculation of BeCu after structural relaxation, from Alexandria.

Values from the calculation:
magnetization: 0.00 μB per formula unit
total DFT energy (no corrections): -125.410 eV for the cell shown
formation energy from the elements: -0.008 eV/atom

Unit cell a=2.5000 b=9.4795 c=13.4761 alpha=90.00 beta=90.00 gamma=90.00
Space group Fddd (No. 70, origin choice 2)
Symmetry-distinct sites (fractional):
Be: 0.1250 0.2750 0.1250 (multiplicity 16)
Cu: 0.1250 0.1250 0.5241 (multiplicity 16)

Please write out number 1 again, unchanged.
The following is a PBE calculation of BeCu after structural relaxation, from Alexandria.

Values from the calculation:
magnetization: 0.00 μB per formula unit
total DFT energy (no corrections): -94.869 eV for the cell shown
formation energy from the elements: -0.042 eV/atom

Unit cell a=7.6562 b=6.7265 c=4.6363 alpha=90.00 beta=90.00 gamma=90.00
Space group Pbcm (No. 57)
Symmetry-distinct sites (fractional):
Be: 0.0814 0.0486 0.2500 (multiplicity 4)
Be: 0.3634 0.6163 0.2500 (multiplicity 4)
-- stop --

     This understanding should communicate a very profound lesson to us.  Just imagine what it would be like to be at your retirement and face a crowd that yelled, "Crucify him!  Crucify him!  Crucify him!"  Think of holding on to your understanding of how much God loves you while soldiers stretched and nailed your body to a cross.

     Would divine recognition make a difference in how you live?  Only you can answer that.  If we are looking for a life of blessings, one where prayers are answered, and one where every chapter has a storybook ending, we can see how quickly people abandon their faith.  They do because life is never like that. Our expectation of God should be tempered now with our understanding of what Jesus experienced during his ministry. 

     We have all been called. This is why we were born. We are all sons and daughters of God.  We make mistakes and some of us make big mistakes, but we are not the artist.  We are not the One who takes our smiles, our thoughtfulness, our volunteer hours of service, our challenges to those who have forgotten how to love, or the two copper coins we put in the temple treasury, and creates a magnificent portrait of the world that is coming.  God does that.  That is where our confidence must remain.  

     The miracle we celebrate this morning is that Jesus led the way to the new world that is dawning. He was the first to point accurately to what God had in mind for all of us. And he did so without an instruction manual and no one to follow.  After his baptism, he tried to embrace a world that knew very little about embracing.  He invited us to follow.   Now it is our turn to show the way for others.  Remember your baptism and in spite of what life brings to you, cling tightly to how much God loves you.  Through each of us God will create tomorrow's new world.


     Our hearts can be numbed, O God, by the news we receive.  Lift our vision above the same drama which has continued for thousands of years. Guide us to see the good in others.  Move our spirits with the awareness that you gave us a wonderful world filled with angels in the flesh.  Just as Jesus made his way among those who were strangers to his message, so may we patiently teach others to find their inheritance.  Each of us can be kind and gentle.  Empower us with the wisdom that true power is found in patience.  Truly all beauty is in the eye of the beholder.  Guide us to help others  become beholders of all that you have made available to us.  With grateful hearts, we thank you for loving us.  Amen.

........
Computed, not measured: a relaxed RbZnPbCl5 crystal at the GGA-PBE level of DFT.

## Properties
space-group type	C2/c, No. 15
formation energy (no corrections)	-1.3751	eV per atom

Cell: 7.7837 7.7837 10.2082 Å, 104.14 104.14 106.39°
Fractional coordinates of all 16 atoms:
Rb (0.1497, 0.8503, 0.7500)
Rb (0.8503, 0.1497, 0.2500)
Zn (0.1861, 0.8139, 0.2500)
Zn (0.8139, 0.1861, 0.7500)
Pb (0.5000, 0.5000, 0.0000)
Pb (0.5000, 0.5000, 0.5000)
Cl (0.0975, 0.2461, 0.9250)
Cl (0.1705, 0.5949, 0.3667)
Cl (0.2461, 0.0975, 0.4250)
Cl (0.4051, 0.8295, 0.1333)
Cl (0.4058, 0.5942, 0.7500)
Cl (0.5942, 0.4058, 0.2500)
Cl (0.5949, 0.1705, 0.8667)
Cl (0.7539, 0.9025, 0.5750)
Cl (0.8295, 0.4051, 0.6333)
Cl (0.9025, 0.7539, 0.0750)

~~~~~

Record 1
Material: Li4H6Os
Method: DFT, GGA-PBE
State: relaxed

Cell lengths 4.7849, 4.7875, 9.7704 Å; angles 75.99, 75.83, 60.02 degrees
Last column: nearest neighbours and their distance in Å.
Atoms (fractional coordinates):
Li 0.4912 0.8346 0.6801  6 H 1.91-2.09
Li 0.9941 0.3346 0.1801  6 H 1.91-2.09
Li 0.9024 0.2440 0.4511  6 H 1.95-2.15
Li 0.4025 0.7440 0.9511  6 H 1.95-2.15
Li 0.1749 0.5176 0.6296  6 H 1.91-2.09
Li 0.6778 0.0176 0.1296  6 H 1.91-2.09
Li 0.7658 0.1079 0.8587  6 H 1.95-2.15
Li 0.2675 0.6079 0.3587  6 H 1.95-2.15
H 0.7822 0.3481 0.0145  1 Os 1.72, 1 Li 1.92
H 0.8552 0.8481 0.5145  1 Os 1.72, 1 Li 1.92
H 0.5044 0.6251 0.5134  1 Os 1.72, 1 Li 1.92
H 0.3570 0.1251 0.0134  1 Os 1.72, 1 Li 1.92
H 0.2819 0.1984 0.5137  1 Os 1.72, 1 Li 1.91
H 0.0060 0.6984 0.0137  1 Os 1.72, 1 Li 1.91
H 0.1623 0.1535 0.7962  1 Os 1.72, 1 Li 1.91
H 0.8880 0.6535 0.2962  1 Os 1.72, 1 Li 1.91
H 0.6655 0.2267 0.2965  1 Os 1.72, 1 Li 1.92
H 0.8112 0.7267 0.7965  1 Os 1.72, 1 Li 1.92
H 0.3860 0.5041 0.7954  1 Os 1.72, 1 Li 1.92
H 0.3145 0.0041 0.2954  1 Os 1.72, 1 Li 1.92
Os 0.5849 0.9259 0.4049  6 H 1.72
Os 0.0842 0.4259 0.9049  6 H 1.72

D(E_F) = 0.00 states/eV per atom
Polymorph energy (0 for the lowest one) = 0.023 eV/atom


Record 2
Material: Li3HOs
Method: DFT, GGA-PBE
State: relaxed

Cell lengths 4.9502, 4.9502, 4.9502 Å; angles 90.00, 90.00, 90.00 degrees
Last column: nearest neighbours and their distance in Å.
Atoms (fractional coordinates):
H 0.5000 0.5000 0.5000  12 Li 3.50
Os 0.0000 0.0000 0.0000  6 Li 2.48
Li 0.0000 0.5000 0.0000  2 Os 2.48
Li 0.0000 0.0000 0.5000  2 Os 2.48
Li 0.5000 0.0000 0.0000  2 Os 2.48

D(E_F) = 0.97 states/eV per atom
Polymorph energy (0 for the lowest one) = 0.817 eV/atom


Record 3
Material: Li2H5Os
Method: DFT, GGA-PBE
State: relaxed

Cell lengths 3.0948, 4.2035, 5.0928 Å; angles 114.35, 107.69, 90.00 degrees
Last column: nearest neighbours and their distance in Å.
Atoms (fractional coordinates):
Li 0.7620 0.1808 0.5797  3 H 1.76-1.88
Li 0.1826 0.6008 0.4202  3 H 1.76-1.88
H 0.4712 0.1352 0.9987  2 Os 1.85, 1 H 1.91
H 0.1665 0.0958 0.3888  1 Os 1.70, 2 Li 1.76
H 0.7778 0.7056 0.6109  1 Os 1.70, 2 Li 1.76
H 0.9717 0.4827 0.9996  1 Os 1.73, 2 H 1.76, 2 Li 1.88
........


     We thank you, God, that we are here this morning.  There are so many inviting reasons for us to take a break from being with our church family, yet life has taught us that opportunities to focus our attention on you are not as many as we think there are.  Some of us plan to start our day with a quiet time of prayer and meditation, but our morning rituals often take us in directions our habits have created.  We think to ourselves, "Well, maybe tomorrow."   

     Our minds this morning will focus on Jesus' baptismal experience.  For him there was no, "well, maybe tomorrow," because his life-changing adventure started immediately. And we are glad that it did.  He left us with such a legacy along with a wonderful, warm, heart-felt invitation to follow him. We pray that each of us will take our life experiences and our calling as seriously as he did. 

     We confess that we never know where life will lead us.  So many variables lie beyond our control, yet we ask that you lead us to know with absolute confidence who we are as we go there. Life does not always take us where we would prefer and our experiences are not always what they seem but through us you know how to bring healing, renewed hope, and a passion for living to those who may have lost their way.  Use us, O God, as followers of Jesus Christ, to mold and shape our world.  We pray these thoughts in the same spirit as Jesus experienced when he taught us to say when we pray . . .